Listing:
~~~
(1)
The following is a simulated powder diffractogram of TbErZnPt. It was derived from DFT lattice parameters and positions (PBE), using Cu Kα, 1.54184 Å.
Neutral-atom scattering factors, no anomalous dispersion.

Lattice parameters (Å, degrees): 3.5435 3.5435 6.9389 90.00 90.00 90.00
Fractional coordinates of all 4 atoms:
Tb 0.0000 0.0000 0.0000
Er 0.0000 0.0000 0.4856
Zn 0.5000 0.5000 0.7373
Pt 0.5000 0.5000 0.2508

Largest 6 diffraction maxima, by angle, 10 to 90 degrees two-theta:
2θ (°)  I (rel.)
12.8  16
35.8  52
36.2  100
51.6  18
64.7  37
65.4  17

(2)
The following is a simulated powder diffractogram of ErTh2Pt3. It was derived from DFT lattice parameters and positions (PBE), using Cu Kα, 1.54184 Å.
Neutral-atom scattering factors, no anomalous dispersion.

Lattice parameters (Å, degrees): 13.8636 13.2176 7.1611 79.72 69.73 30.55
Fractional coordinates of all 24 atoms:
Er 0.0418 0.0418 0.2082
Er 0.2082 0.2082 0.0418
Er 0.7918 0.7918 0.9582
Er 0.9582 0.9582 0.7918
Th 0.1265 0.1265 0.6235
Th 0.2923 0.2923 0.4577
Th 0.3765 0.3765 0.8735
Th 0.4577 0.4577 0.2923
Th 0.5423 0.5423 0.7077
Th 0.6235 0.6235 0.1265
Th 0.7077 0.7077 0.5423
Th 0.8735 0.8735 0.3765
Pt 0.0430 0.5394 0.2044
Pt 0.1212 0.6288 0.6288
Pt 0.2044 0.7132 0.0430
Pt 0.2868 0.7956 0.4606
Pt 0.3712 0.8788 0.8788
Pt 0.4606 0.9570 0.2868
Pt 0.5394 0.0430 0.7132
Pt 0.6288 0.1212 0.1212
Pt 0.7132 0.2044 0.5394
Pt 0.7956 0.2868 0.9570
Pt 0.8788 0.3712 0.3712
Pt 0.9570 0.4606 0.7956

Largest 6 diffraction maxima, by angle, 10 to 90 degrees two-theta:
2θ (°)  I (rel.)
30.5  100
43.2  13
43.6  51
53.8  14
54.5  13
72.0  24

(3)
The following is a simulated powder diffractogram of ErTiPt6. It was derived from DFT lattice parameters and positions (PBE), using Cu Kα, 1.54184 Å.
Neutral-atom scattering factors, no anomalous dispersion.

Lattice parameters (Å, degrees): 4.0252 4.0252 8.0545 90.00 90.00 90.00
Fractional coordinates of all 8 atoms:
Er 0.0000 0.0000 0.0000
Ti 0.0000 0.0000 0.5000
Pt 0.0000 0.5000 0.2642
Pt 0.0000 0.5000 0.7358
Pt 0.5000 0.0000 0.2642
Pt 0.5000 0.0000 0.7358
Pt 0.5000 0.5000 0.0000
Pt 0.5000 0.5000 0.5000

Largest 6 diffraction maxima, by angle, 10 to 90 degrees two-theta:
2θ (°)  I (rel.)
33.4  5
38.7  100
45.0  49
65.6  31
78.9  37
83.1  11

(4)
The following is a simulated powder diffractogram of Er4Tl3Pt. It was derived from DFT lattice parameters and positions (PBE), using Cu Kα, 1.54184 Å.
Neutral-atom scattering factors, no anomalous dispersion.

Lattice parameters (Å, degrees): 3.5926 3.5926 15.6474 90.00 90.00 90.00
Fractional coordinates of all 8 atoms:
Er 0.0000 0.0000 0.1040
Er 0.0000 0.0000 0.3681
Er 0.0000 0.0000 0.6319
Er 0.0000 0.0000 0.8960
Tl 0.5000 0.5000 0.2399
Tl 0.5000 0.5000 0.5000
Tl 0.5000 0.5000 0.7601
Pt 0.5000 0.5000 0.0000

Largest 6 diffraction maxima, by angle, 10 to 90 degrees two-theta:
2θ (°)  I (rel.)
33.9  100
35.3  49
50.8  18
59.7  15
62.5  35
71.3  13

Please write out number 2 again, unchanged.
The following is a simulated powder diffractogram of ErTh2Pt3. It was derived from DFT lattice parameters and positions (PBE), using Cu Kα, 1.54184 Å.
Neutral-atom scattering factors, no anomalous dispersion.

Lattice parameters (Å, degrees): 13.8636 13.2176 7.1611 79.72 69.73 30.55
Fractional coordinates of all 24 atoms:
Er 0.0418 0.0418 0.2082
Er 0.2082 0.2082 0.0418
Er 0.7918 0.7918 0.9582
Er 0.9582 0.9582 0.7918
Th 0.1265 0.1265 0.6235
Th 0.2923 0.2923 0.4577
Th 0.3765 0.3765 0.8735
Th 0.4577 0.4577 0.2923
Th 0.5423 0.5423 0.7077
Th 0.6235 0.6235 0.1265
Th 0.7077 0.7077 0.5423
Th 0.8735 0.8735 0.3765
Pt 0.0430 0.5394 0.2044
Pt 0.1212 0.6288 0.6288
Pt 0.2044 0.7132 0.0430
Pt 0.2868 0.7956 0.4606
Pt 0.3712 0.8788 0.8788
Pt 0.4606 0.9570 0.2868
Pt 0.5394 0.0430 0.7132
Pt 0.6288 0.1212 0.1212
Pt 0.7132 0.2044 0.5394
Pt 0.7956 0.2868 0.9570
Pt 0.8788 0.3712 0.3712
Pt 0.9570 0.4606 0.7956

Largest 6 diffraction maxima, by angle, 10 to 90 degrees two-theta:
2θ (°)  I (rel.)
30.5  100
43.2  13
43.6  51
53.8  14
~~~

To do:
Could you echo everything further up word for word?

Done:
(1)
The following is a simulated powder diffractogram of TbErZnPt. It was derived from DFT lattice parameters and positions (PBE), using Cu Kα, 1.54184 Å.
Neutral-atom scattering factors, no anomalous dispersion.

Lattice parameters (Å, degrees): 3.5435 3.5435 6.9389 90.00 90.00 90.00
Fractional coordinates of all 4 atoms:
Tb 0.0000 0.0000 0.0000
Er 0.0000 0.0000 0.4856
Zn 0.5000 0.5000 0.7373
Pt 0.5000 0.5000 0.2508

Largest 6 diffraction maxima, by angle, 10 to 90 degrees two-theta:
2θ (°)  I (rel.)
12.8  16
35.8  52
36.2  100
51.6  18
64.7  37
65.4  17

(2)
The following is a simulated powder diffractogram of ErTh2Pt3. It was derived from DFT lattice parameters and positions (PBE), using Cu Kα, 1.54184 Å.
Neutral-atom scattering factors, no anomalous dispersion.

Lattice parameters (Å, degrees): 13.8636 13.2176 7.1611 79.72 69.73 30.55
Fractional coordinates of all 24 atoms:
Er 0.0418 0.0418 0.2082
Er 0.2082 0.2082 0.0418
Er 0.7918 0.7918 0.9582
Er 0.9582 0.9582 0.7918
Th 0.1265 0.1265 0.6235
Th 0.2923 0.2923 0.4577
Th 0.3765 0.3765 0.8735
Th 0.4577 0.4577 0.2923
Th 0.5423 0.5423 0.7077
Th 0.6235 0.6235 0.1265
Th 0.7077 0.7077 0.5423
Th 0.8735 0.8735 0.3765
Pt 0.0430 0.5394 0.2044
Pt 0.1212 0.6288 0.6288
Pt 0.2044 0.7132 0.0430
Pt 0.2868 0.7956 0.4606
Pt 0.3712 0.8788 0.8788
Pt 0.4606 0.9570 0.2868
Pt 0.5394 0.0430 0.7132
Pt 0.6288 0.1212 0.1212
Pt 0.7132 0.2044 0.5394
Pt 0.7956 0.2868 0.9570
Pt 0.8788 0.3712 0.3712
Pt 0.9570 0.4606 0.7956

Largest 6 diffraction maxima, by angle, 10 to 90 degrees two-theta:
2θ (°)  I (rel.)
30.5  100
43.2  13
43.6  51
53.8  14
54.5  13
72.0  24

(3)
The following is a simulated powder diffractogram of ErTiPt6. It was derived from DFT lattice parameters and positions (PBE), using Cu Kα, 1.54184 Å.
Neutral-atom scattering factors, no anomalous dispersion.

Lattice parameters (Å, degrees): 4.0252 4.0252 8.0545 90.00 90.00 90.00
Fractional coordinates of all 8 atoms:
Er 0.0000 0.0000 0.0000
Ti 0.0000 0.0000 0.5000
Pt 0.0000 0.5000 0.2642
Pt 0.0000 0.5000 0.7358
Pt 0.5000 0.0000 0.2642
Pt 0.5000 0.0000 0.7358
Pt 0.5000 0.5000 0.0000
Pt 0.5000 0.5000 0.5000

Largest 6 diffraction maxima, by angle, 10 to 90 degrees two-theta:
2θ (°)  I (rel.)
33.4  5
38.7  100
45.0  49
65.6  31
78.9  37
83.1  11

(4)
The following is a simulated powder diffractogram of Er4Tl3Pt. It was derived from DFT lattice parameters and positions (PBE), using Cu Kα, 1.54184 Å.
Neutral-atom scattering factors, no anomalous dispersion.

Lattice parameters (Å, degrees): 3.5926 3.5926 15.6474 90.00 90.00 90.00
Fractional coordinates of all 8 atoms:
Er 0.0000 0.0000 0.1040
Er 0.0000 0.0000 0.3681
Er 0.0000 0.0000 0.6319
Er 0.0000 0.0000 0.8960
Tl 0.5000 0.5000 0.2399
Tl 0.5000 0.5000 0.5000
Tl 0.5000 0.5000 0.7601
Pt 0.5000 0.5000 0.0000

Largest 6 diffraction maxima, by angle, 10 to 90 degrees two-theta:
2θ (°)  I (rel.)
33.9  100
35.3  49
50.8  18
59.7  15
62.5  35
71.3  13

Please write out number 2 again, unchanged.
The following is a simulated powder diffractogram of ErTh2Pt3. It was derived from DFT lattice parameters and positions (PBE), using Cu Kα, 1.54184 Å.
Neutral-atom scattering factors, no anomalous dispersion.

Lattice parameters (Å, degrees): 13.8636 13.2176 7.1611 79.72 69.73 30.55
Fractional coordinates of all 24 atoms:
Er 0.0418 0.0418 0.2082
Er 0.2082 0.2082 0.0418
Er 0.7918 0.7918 0.9582
Er 0.9582 0.9582 0.7918
Th 0.1265 0.1265 0.6235
Th 0.2923 0.2923 0.4577
Th 0.3765 0.3765 0.8735
Th 0.4577 0.4577 0.2923
Th 0.5423 0.5423 0.7077
Th 0.6235 0.6235 0.1265
Th 0.7077 0.7077 0.5423
Th 0.8735 0.8735 0.3765
Pt 0.0430 0.5394 0.2044
Pt 0.1212 0.6288 0.6288
Pt 0.2044 0.7132 0.0430
Pt 0.2868 0.7956 0.4606
Pt 0.3712 0.8788 0.8788
Pt 0.4606 0.9570 0.2868
Pt 0.5394 0.0430 0.7132
Pt 0.6288 0.1212 0.1212
Pt 0.7132 0.2044 0.5394
Pt 0.7956 0.2868 0.9570
Pt 0.8788 0.3712 0.3712
Pt 0.9570 0.4606 0.7956

Largest 6 diffraction maxima, by angle, 10 to 90 degrees two-theta:
2θ (°)  I (rel.)
30.5  100
43.2  13
43.6  51
53.8  14